
Showing posts with the label crushing

God, the perfect Father

I have learned over these many years how our Heavenly Father sometimes treats His children.  It may surprise you. Our Heavenly Father is the only perfect Father there is. He knows each of us more intimately than any earthly parent ever could.  He is equal parts mercy and discipline, and both are done in the purest love imaginable.   Everything He does, He does in love. Everything. Now that we have established that, let's talk! I recently looked back at some of my blog entries and I noticed a pattern.  I write a lot about suffering.  Lots of referrals to Job.  Lots of lessons being learned, spiritual growth, and such.   But lately, I've started to wonder if all  of my life is supposed to tip heavier on the suffering side of the scale.  And if there is no seeming let-up, what’s a girl to do? We’ve heard all of the grape analogies. The crushing, the pruning, the tilling, the waiting for ripening, etc., etc. But when you are the grape (...

Types of crushing

So the other day, I wrote about being crushed by the Lord, and how it is for our ultimate good.  Read that entry here:  Stop, Jesus! You're crushing me! But then today, I had another revelation about crushing.  And I need to write about it again because I want you to know about the different types of crushing and how to tell the difference between them. When the Lord crushes us, He is after something in us that He wants to expose in order to heal or get rid of.  It is a painful process, but ultimately, like removing a splinter from under our skin, it is for our good. However, when others try to crush us in order to lord themselves over us via power, manipulation, or control, that is bad.   Now that may seem an obvious statement.  And perhaps you can perceive when this is happening to you.  I cannot always tell the difference. When you see all as coming either from, through, or allowed by God's Sovereign hand, it's easy to write everything off as ...

........
{
  "formula": "C27H58CrN3O5SSi4",
  "method": "wB97M-V/def2-TZVPD",
  "species": ["Cr", "C", "N", "C", "C", "O", "C", "O", "C", "C", "O", "N", "C", "C", "H", "H", "H", "H", "H", "H", "H", "H", "H", "H", "H", "H", "H", "H", "H", "H", "O", "C", "C", "C", "C", "C", "C", "N", "H", "H", "H", "H", "H", "H", "H", "C", "Si", "C", "C", "Si", "Si", "C", "C", "C", "Si", "C", "C", "C", "H", "H", "H", "H", "H", "H", "H", "H", "H", "H", "H", "H", "H", "H", "H", "H", "H", "H", "H", "H", "H", "H", "H", "H", "H", "H", "H", "O", "S", "C", "C", "C", "C", "H", "H", "H", "H", "H", "H", "H", "H"],
........

Stop, Jesus! You're crushing me!

Have you ever been crushed by Jesus?  Job said, "Though He slay me, yet I will trust Him." Been there, too, Job.   But crushing feels worse than slaying.  What on earth am I talking about, you may wonder!  God is not a sadist!  Indeed not. I don't know if you are this way, but a lot of the time, I need to talk to know what I'm thinking!  Sometimes, as I'm talking to a pastor, a friend, or whomever, words just come out of me that I had no intention of saying.  It's like the Holy Spirit is getting out of me what is really going on in me and I didn't have a chance to verbalize it before. Writing is a great outlet for me.  But sometimes, it's speaking those unexpected words that sheds light on my circumstances. For example, I was talking to a pastor about a certain situation I am in that is very hard to endure, and the word "crushed" popped out of my mouth.  I don't remember exactly what I said, but remember saying how I felt like I was bein...